Urban leadership earns high school seniors Edgerley-Franklin scholarships


Finalists for the Edgerley-Franklin urban scholarship at Kansas State University included, front row, from left: Samantha Estabrook, Eunice Ortiz, Taylor Cofield and Miya Saint-Luis; back row, from left: Natalie Walton, Steve Edgerley, Noe Nunez, Michael Zuniga, Celso Carranza, Marco Loma-Jasso, Bernard Franklin, special assistant to the K-State president; and Emmalee Laidacker. (Photo from Kansas State University)

Two Kansas City, Kan., high school seniors have been named Edgerley-Franklin scholarship winners at Kansas State University, Manhattan.

Marco Loma-Jasso, Turner High School, and Natalie Walton, Wyandotte High School, both from Kansas City, Kan., are both Edgerley-Franklin Urban Leadership Scholarship recipients.

The other scholarship finalists were from Buhler, Dodge City, Kansas City, Mo., Olathe, Overland Park, Liberal and Pittsburg, Kan.

Kansas State University awarded five Edgerley-Franklin scholarships in all this year to outstanding seniors who have made contributions to the urban communities in which they live.

The university received 93 applications, and a selection committee chose 11 finalists to interview.

Finalists participated in an on-campus interview and recognition day on March 10.

Of those interviewed, five students were chosen to receive the $3,000 scholarship. Scholarships are renewable for up to three years with a 3.0 GPA at the university.

This scholarship is made possible by the Edgerley and Franklin families who continuously demonstrate leadership and support of service to individuals from urban areas.

It was created in memory of Bernard Franklin’s wife, Elsia, who was committed to helping better the lives of young girls in urban Alabama.

Franklin is a special assistant to Kansas State University’s vice present for student life.

The Edgerleys have been longtime supporters of Kansas State University, contributing to a number of scholarships, funds and faculty chairs in the past 10 years, including: the Paul B. and Sandra M. Edgerley Business Administration Scholarship; the Paul B. Edgerley Chair in Business Administration; the Robert M. Edgerley Chair in International Business, in honor of his father; the Edgerley Family Chair in the College of Business Administration; and the President Wefald Leadership Chair in Business Administration.

Chance of snow in Monday’s forecast

National Weather Service graphic

It’s as if winter doesn’t know it’s spring. Today, there is a 70 percent of rain and snow in Wyandotte County, the National Weather Service says.

But the forecast also says it will be less than an inch of snow accumulation.

Snow is predicted between 1 p.m. and 4 p.m. Monday.

Interestingly, today’s high will be above freezing at 37 degrees.

Temperatures were at 34 degrees at 9 a.m. Monday, and skies were mostly cloudy.

Winds Monday are predicted to be 5 to 7 mph, light and variable.

Tonight’s low will be 23 degrees.

The National Weather Service said to look for an elevated fire danger on Wednesday, when winds may be 25 to 30 mph, and a chance of thunderstorms on Thursday.

Elevated fire danger on Wednesday (National Weather Service graphic)

Legislative update from Sen. Pat Pettey

Sen. Pat Pettey

March 21, 2014

........
Here is an optimized crystal structure of ZnAg2Sn from the Open Quantum Materials Database. Energies are from PBE.

Unit cell a=4.7996 b=4.7996 c=4.7996 alpha=60.00 beta=60.00 gamma=60.00
Positions (direct):
Ag1 0.0000 0.0000 0.0000
Ag2 0.7500 0.7500 0.7500
Sn1 0.5000 0.5000 0.5000
Zn1 0.2500 0.2500 0.2500

Summary:
**Space group**: F-43m (216)
**Raw total energy**: -10.53 eV per cell


Here is an optimized crystal structure of ZrAg2Sn from the Open Quantum Materials Database. Energies are from PBE.

Unit cell a=4.8396 b=4.8396 c=4.8396 alpha=60.00 beta=60.00 gamma=60.00
Positions (direct):
Zr1 0.2500 0.2500 0.2500
Ag1 0.0000 0.0000 0.0000
Ag2 0.7500 0.7500 0.7500
Sn1 0.5000 0.5000 0.5000

Summary:
**Magnetic moment**: 0.0 μB per cell
**Space group**: F-43m (216)
**Raw total energy**: -18.60 eV per cell


Here is an optimized crystal structure of Zr3AgSn5 from the Open Quantum Materials Database. Energies are from PBE.

Unit cell a=6.0444 b=6.0444 c=7.7372 alpha=90.00 beta=90.00 gamma=120.00
Positions (direct):
Sn1 0.6667 0.3333 0.8200
Zr1 0.0000 0.5000 0.5000
Zr2 0.5000 0.0000 0.5000
Zr3 0.5000 0.5000 0.5000
Sn2 0.3333 0.6667 0.8200
Ag1 0.0000 0.0000 0.0000
Sn3 0.0000 0.0000 0.5000
Sn4 0.6667 0.3333 0.1800
Sn5 0.3333 0.6667 0.1800

Summary:
**Magnetic moment**: 0.0 μB per cell
**Space group**: P6/mmm (191)
**Raw total energy**: -48.19 eV per cell


Here is an optimized crystal structure of Zr2Ag2Sn from the Open Quantum Materials Database. Energies are from PBE.

Unit cell a=7.0132 b=7.0132 c=7.0132 alpha=145.57 beta=145.57 gamma=49.49
Positions (direct):
Sn1 0.0000 0.0000 0.0000
Ag1 0.7500 0.2500 0.5000
Ag2 0.2500 0.7500 0.5000
Zr1 0.3992 0.3992 0.0000
Zr2 0.6008 0.6008 0.0000

Summary:
**Magnetic moment**: 1.7 μB per cell
**Space group**: I4/mmm (139)
**Raw total energy**: -25.38 eV per cell


Here is an optimized crystal structure of SrAg from the Open Quantum Materials Database. Energies are from PBE.

Unit cell a=4.6042 b=4.6042 c=4.6042 alpha=60.00 beta=60.00 gamma=60.00
Positions (direct):
Ag1 0.0000 0.0000 0.0000
Sr1 0.5000 0.5000 0.5000

Summary:
**Space group**: Fm-3m (225)
**Raw total energy**: -4.85 eV per cell


Here is an optimized crystal structure of Sr3Ag2 from the Open Quantum Materials Database. Energies are from PBE.

Unit cell a=8.6220 b=8.6220 c=4.5063 alpha=90.00 beta=90.00 gamma=90.00
Positions (direct):
Ag1 0.6247 0.8753 0.0000
Sr1 0.5000 0.5000 0.0000
Ag2 0.3753 0.1247 0.0000
Ag3 0.1247 0.6247 0.0000
Sr2 0.1649 0.3351 0.5000
Sr3 0.6649 0.1649 0.5000
Sr4 0.8351 0.6649 0.5000
Ag4 0.8753 0.3753 0.0000
Sr5 0.3351 0.8351 0.5000
Sr6 0.0000 0.0000 0.0000

Summary:
**Space group**: P4/mbm (127)
**Raw total energy**: -24.04 eV per cell


- raw total energy of number 4 (Zr2Ag2Sn)?
  -25.38 eV per cell

~~~~~

Below is a relaxed structure of RbScVF6, with properties calculated at the PBE with a Hubbard U level. Values from VASP.

Cell and atoms, written as Quantum ESPRESSO input:
```
&SYSTEM
  ibrav = 0, nat = 18, ntyp = 4
/
........
Here the text continues:

In this issue:

• Floor schedule changes

• School finance update

• Mortgage fee elimination

• Drug testing

• Food and farm task force

• Storm shelters

• Local elections

• Over at the House

• Lupus awareness

• Insurance information

• Health information

Floor schedule changes

The legislative session is inching closer to adjournment.  The Senate debated and voted on more than 20 bills this week. This Friday was the last day for non-exempt committees to meet.  Starting Monday, senators will work all day on the floor to consider remaining legislation.

Senators will continue meeting with conference committees through April 4. If a bill that passed the House is amended in the Senate then it goes back to the House for a vote to concur, or to accept the amendments. If the originating chamber votes to not concur, the bill goes to a conference committee. These committees include three members from both chambers who are appointed to iron out any differences between House and Senate versions of bills.

Their compromises, known as Conference Committee reports, are then sent to both chambers for a vote.

The Senate convenes at 10 a.m Monday-Wednesday of next week with no session scheduled for Thursday or Friday.

To listen to legislative proceedings, just click on “Listen in Live” on the homepage of www.kslegislature.org. You can also find daily calendars, committee and district information, and full text and summaries of bills on that website.

If you have any questions about any bills, feel free to contact my office at 785-296-7375 or stop by my legislative office, located in 125-E of the Topeka Statehouse. My assistant’s name is Jennifer Parson.

School finance update

Shortly after the school finance decision came down from the Supreme Court, Gov. Sam Brownback said his administration wouldn’t give legislators advice on how to resolve the equity issue except to fix it, despite just a few weeks remaining in the legislative session.

Yet, on Wednesday afternoon, he issued a release stating his “highest priority is that dollars need to go to the classroom and our students” and provided “eight guiding principles” for achieving this goal, but neglected to outline an actual plan.

This attempt at leadership is too little, too late.

If education funding were truly a priority, Brownback wouldn’t have made the single largest cut to K-12 schools in the history of the state just four months after taking office. And, he certainly wouldn’t have declared it to be a “victory for Kansas.”

Democrats have been urging Brownback and his allies in the Legislature to fully fund equalization since the day the ruling came out.

Bills were introduced a week later in the House and the Senate that would appropriate the $129 million to fund capital outlay and local option budget equalization.

I support funding equalization, and I believe it’s time that we also begin discussions on how to increase base state aid per pupil to ensure schools are being funded adequately and equally.

Early Thursday evening, House Republicans introduced a 59-page bill (HB2773) to address school finance and many other areas related to education, including: expanding charter schools, expanding innovative school districts, creating alternative teacher licensures, establishing tax credits for private school scholarship contributions made by private corporations.

The most important sections – and the only sections needed – are the very last sections of the bill.  They appropriate full funding for capital outlay and local option budget equalization to comply with the ruling of the Supreme Court.

However, since being introduced, it has been reported that a new version will be drafted without the charter school component. Supposedly, Gov. Brownback, House leadership, and Senate leadership were unaware of it being included.

Mortgage registration fee

On a vote of 26-12, the Senate passed Senate Substitute for Senate Bill 298, which phases out the mortgage registration tax over five years, but phases in a certain per-page fee increase over four years.

By repealing the mortgage registration fee and simultaneously increasing the document fees collected by local units of government well beyond the cost of recording those documents, it is clear that these increases are intended to generate revenue for those local units in place of the mortgage registration fee.

This is not a fee increase; it’s a tax increase that leaves a hole in local budgets that will undoubtedly result in more property tax increases.

This will create a loss in Wyandotte County revenues starting at $105,000 in 2015 and progressing to $752,000 in 2019. Johnson County will lose $1.7 million in 2015 progressing to $10 million in 2019.

These losses will force our counties to either look at a property tax increase or service reductions. This repeal shifts the county cost of doing work for the lender on a home or land purchase to all taxpayers. I voted against it.

Drug testing

SB 335 requires any teacher who has not already submitted fingerprints when applying for a new or renewed teaching license and requires school districts to adopt policies and procedures for a drug screening program for all employees as well as an impairment program to help rehabilitate teachers who test positive passed the Senate on a vote of 30-4.

The fingerprinting requirement would also apply to nonlicensed teachers in the public innovative districts. The drug testing program would only test employees under reasonable suspicion.

Senate Democratic Leader Anthony Hensley offered an amendment to the bill that establishes penalties and procedures for legislators who are subject to drug testing under reasonable suspicion and test positive. This is a follow-up to the amendment passed last year that would require drug testing of legislators.

Hensley’s amendment is the same as the bill he introduced, but never received a hearing in the Senate Committee on Judiciary. The amendment passed on a voice vote.   I passed on this bill.

Food and farm task force

The Senate passed a bill this week that establishes the Local Food and Farm Task Force, which would be responsible for preparing a local food and farm plan containing policy and funding recommendations to increase locally grown food production. The bill could help farmers understand the opportunities presented by the new federal farm bill.

It also can help educate citizens as to how to set up farmers markets in their communities.

Senate Bill 380 was sponsored by Democratic Sen.  Tom Hawk, Manhattan, and passed on a vote of 28-12. I voted for it.

Storm shelters  

The Senate unanimously passed Senate Bill 264, which requires a storm shelter to be built at all student attendance centers if constructing a new building or modifying an existing building that does not already have a storm shelter. This does not impact any bonds that have already been passed for school district construction.

Local elections  

The Senate Committee on Ethics and Elections voted out of committee the bill that changes local elections to the fall of even-numbered years at the same time as state and federal elections, if there are state and federal elections in those years.

Otherwise, local elections can be held in their current odd-numbered years.

Proponents of Senate Substitute for House Bill 2141 argue moving the elections would lead to greater voter turnout.

Opponents argue it would strip away local control; they would no longer be allowed to determine when they’ll hold elections.

No unit of government or school district supports this legislation, in fact all are totally opposed to the proposed changes.

The bill has been sent to the Senate floor for full consideration. I plan to oppose this bill.

Over at the House

• Financial literacy and handshake curriculum On a vote of 110-12, the House passed a bill that initially included mandates for financial literacy curriculum in schools, but was also amended to also include curriculum on a proper handshake. The problem with the Kansas Legislature making curriculum mandates, such as in HB2475, is that it steps on the toes of the Kansas Board of Education and local districts.

• Tanning bed The House Committee on Health and Human Services has passed out of committee the bill (HB2435) that prohibits minors from using tanning beds unless they’ve received written authorization from a person licensed to practice medicine or surgery. Any tanning salon found in violation of the law would be fined $250. The Board of Cosmetology oversees the licenses of tanning salons. It will now go to the House floor for full consideration.

Lupus awareness  

Wednesday was Lupus Advocacy Day at the Capitol, and advocates shared important information about the disease:

“Lupus is a chronic autoimmune disease that causes inflammation in various parts of the body. The disease can range from mild to life-threatening. Ninety percent of those diagnosed with lupus are females between ages 15 and 44, but lupus also occurs in males, children, and younger teens. Lupus can be very hard to diagnose because symptoms vary from person to person, can come and go, and can mimic symptoms of other illnesses.

=====
VASP calculation (PBE-GGA) on a relaxed structure of ErPuCuO6.

Results
ΔE_f (raw) = -2059.9 meV per atom
Calculated total energy = -7.920 eV per atom
Space group = No. 149

a = 5.5883 Å, b = 5.5883 Å, c = 4.4146 Å
α = 90.00°, β = 90.00°, γ = 120.00°
Sites, in units of the cell vectors:
Er (0.0000, 0.0000, 0.0000)
Pu (0.3333, 0.6667, 0.0000)
Cu (0.6667, 0.3333, 0.5000)
O (0.0224, 0.3616, 0.2409)
O (0.0224, 0.6608, 0.7591)
O (0.3392, 0.3616, 0.7591)
O (0.3392, 0.9776, 0.2409)
O (0.6384, 0.6608, 0.2409)
O (0.6384, 0.9776, 0.7591)

* * * * *

First-principles (PBE) data for a relaxed Pa2NiPd crystal, as listed in Alexandria.

Computed properties:
* DOS(E_F): 6.1 states/eV/f.u.
* energy of formation: -107 kJ/mol of formula units
* ρ: 13.06 g cm⁻³
* E: -7.77 eV/atom
* M_tot: 0.00 Bohr magnetons per cell

Cell lengths 3.4645, 3.4645, 6.6423 Å; angles 90.00, 90.00, 90.00 degrees
Closest atoms and distances in Å follow each position.
Space group P4/mmm (No. 123)
Unique sites:
Pa (0.0000, 0.0000, 0.2199)  4 Ni 2.85, 1 Pa 2.92, 4 Pd 3.08
Ni (0.5000, 0.5000, 0.0000)  8 Pa 2.85
Pd (0.5000, 0.5000, 0.5000)  8 Pa 3.08, 2 Ni 3.32

First-principles (PBE) data for a relaxed TaZnN2F crystal, as listed in Alexandria.

Computed properties:
* DOS(E_F): 1.5 states/eV/f.u.
* polymorph energy (0 for the lowest one): 0 meV per atom
* ρ: 7.28 g cm⁻³
* E: -6.85 eV/atom
* M_tot: 0.05 Bohr magnetons per cell
* formation energy from raw total energies: -0.52 eV per atom

Cell lengths 4.0807, 4.0807, 4.0195 Å; angles 90.00, 90.00, 90.00 degrees
Closest atoms and distances in Å follow each position.
Space group P4/mmm (No. 123)
Unique sites:
Ta (0.0000, 0.0000, 0.0000)  2 F 2.01, 4 N 2.04
Zn (0.5000, 0.5000, 0.5000)  8 N 2.86, 4 F 2.89
N (0.0000, 0.5000, 0.0000)  2 Ta 2.04
F (0.0000, 0.0000, 0.5000)  2 Ta 2.01

First-principles (PBE) data for a relaxed Pm6NdY2Sc crystal, as listed in Alexandria.

Computed properties:
* DOS(E_F): 14.9 states/eV/f.u.
* energy of formation: 123 kJ/mol of formula units
* ρ: 6.16 g cm⁻³
* E: -5.13 eV/atom
* M_tot: 0.00 Bohr magnetons per cell

Cell lengths 9.4740, 15.3443, 9.1903 Å; angles 90.00, 93.47, 90.00 degrees
Closest atoms and distances in Å follow each position.
Space group C2/c (No. 15)
Unique sites:
Pm (0.0508, 0.1727, 0.4449)  7 Pm 3.50-3.73, 1 Y 3.50, 2 Nd 3.58-3.66
Pm (0.0944, 0.3789, 0.6052)  4 Pm 3.30-3.51, 3 Y 3.34-3.51, 2 Sc 3.41-3.43
Pm (0.2349, 0.2155, 0.8032)  5 Pm 3.33-3.73, 1 Sc 3.37, 1 Y 3.43, 1 Nd 3.58
Nd (0.0000, 0.0340, 0.7500)  4 Y 3.39-3.63, 6 Pm 3.58-3.66
Y (0.2390, 0.4501, 0.9452)  5 Pm 3.34-3.51, 2 Sc 3.39-3.73, 2 Nd 3.39-3.63
Sc (0.0000, 0.4253, 0.2500)  6 Pm 3.37-3.43, 4 Y 3.39-3.73

First-principles (PBE) data for a relaxed RbMg3Pb crystal, as listed in Alexandria.

Computed properties:
* DOS(E_F): 5.3 states/eV/f.u.
* polymorph energy (0 for the lowest one): 826 meV per atom
* energy of formation: 530 kJ/mol of formula units
* ρ: 2.67 g cm⁻³
* E: -0.79 eV/atom
* M_tot: 0.00 Bohr magnetons per cell
=====

“The causes of lupus are not known, but scientists believe that genetics (heredity), hormones, and environmental factors all play a role. Environmental factors that can trigger lupus include: ultraviolet rays from the sun or from artificial light, certain drugs (sulfas, tetracyclines, penicillin and other antibiotics); and anything that causes stress to the body (infection, surgery, an accident, a cold or a viral illness, being pregnant, or giving birth).   If you think you have lupus, see your doctor. There is no one test for lupus, so your doctor will need to take blood for a variety of tests.”

Insurance information

The Health Care Foundation of Greater Kansas City provided information about people in Kansas who are without health insurance. It included statistics about insurance and employment:

• In 16 percent of uninsured families no adults are working

• In 19 percent at least one adult is working part-time

• And in 65 percent of uninsured families, one adult is working full-time.

Health information  

From the American Heart Association: “Obese children as young as age 3 show indicators for developing heart disease later in life. Active play for 60 minutes a day and eating a healthy diet is recommended for children to improve their health.”